FEUZ - Background
Next to the article, the page also holds calculated crystals >
=====
(1)
Material: Sm2Zr
Method: DFT, PBE
State: relaxed

Cell: 8.6722 8.6722 8.6722 Å, 60.00 60.00 60.00°
With the nearest neighbours (Å) after each atom.
Sites, in units of the cell vectors:
Sm  0.3750  0.3750  0.3750  2 Zr 2.66
Sm  0.8750  0.3750  0.3750  2 Zr 2.66
Sm  0.3750  0.8750  0.3750  2 Zr 2.66
Sm  0.3750  0.3750  0.8750  2 Zr 2.66
Zr  0.2500  0.2500  0.2500  4 Sm 2.66
Zr  0.5000  0.5000  0.5000  4 Sm 2.66

## Properties
Symmetry = Fd-3m
ΔE to the lowest computed polymorph = 1568.5 meV/atom

***

(2)
Material: Sm2Zr
Method: DFT, PBE
State: relaxed

Cell: 6.3322 6.3322 6.3322 Å, 60.00 60.00 60.00°
With the nearest neighbours (Å) after each atom.
Sites, in units of the cell vectors:
Sm  0.6250  0.6250  0.1250  6 Sm 3.17
Sm  0.6250  0.1250  0.6250  6 Sm 3.17
Sm  0.1250  0.6250  0.6250  6 Sm 3.17
Sm  0.6250  0.6250  0.6250  6 Sm 3.17
Zr  0.0000  0.0000  0.0000  12 Sm 3.71, 4 Zr 3.88
Zr  0.2500  0.2500  0.2500  12 Sm 3.71, 4 Zr 3.88

## Properties
Symmetry = Fd-3m
ΔE to the lowest computed polymorph = 0.0 meV/atom

***

(3)
Material: SmZr3
Method: DFT, PBE
State: relaxed

Cell: 5.7805 6.6437 5.2902 Å, 90.00 90.00 90.00°
With the nearest neighbours (Å) after each atom.
Sites, in units of the cell vectors:
Sm  0.0103  0.0000  0.0000  12 Zr 3.31-3.33
Sm  0.3230  0.5000  0.5000  12 Zr 3.31-3.33
Zr  0.5089  0.2446  0.0000  8 Zr 3.18-3.53, 4 Sm 3.31-3.32
Zr  0.9733  0.5000  0.0000  8 Zr 3.18-3.53, 4 Sm 3.33
Zr  0.5089  0.7554  0.0000  8 Zr 3.18-3.53, 4 Sm 3.31-3.32
Zr  0.3600  0.0000  0.5000  8 Zr 3.18-3.53, 4 Sm 3.33
Zr  0.8245  0.2554  0.5000  8 Zr 3.18-3.53, 4 Sm 3.31-3.32
Zr  0.8245  0.7446  0.5000  8 Zr 3.18-3.53, 4 Sm 3.31-3.32

## Properties
Symmetry = Pmmn
ΔE to the lowest computed polymorph = 0.0 meV/atom

***

(4)
Material: Sm2Zr
Method: DFT, PBE
State: relaxed

Cell: 5.2722 5.2722 5.2722 Å, 60.00 60.00 60.00°
With the nearest neighbours (Å) after each atom.
Sites, in units of the cell vectors:
Sm  0.2500  0.2500  0.2500  4 Zr 3.23
Sm  0.7500  0.7500  0.7500  4 Zr 3.23
Zr  0.0000  0.0000  0.0000  8 Sm 3.23

## Properties
Symmetry = Fm-3m
ΔE to the lowest computed polymorph = 203.9 meV/atom

***

no.,spin magnetization (μB per formula unit),formation enthalpy at 0 K (meV per atom),total DFT energy (no corrections) (eV per atom)
1,0.01,2136,-3.85
2,1.35,568,-5.42
3,0.01,95,-7.49
4,1.70,772,-5.22


[1]
Here is crystalline SrMg2NbP at its relaxed geometry from Alexandria via LeMat-Bulk. Energies are from PBE-GGA.

Lattice parameters (Å, degrees): 5.340 5.340 4.835 90.00 90.00 90.00
Element x y z (fractional)
Sr 0.000 0.000 0.000
Mg 0.000 0.500 0.500
Mg 0.500 0.000 0.500
Nb 0.500 0.500 0.500
P 0.500 0.500 0.000

M_tot = 0.87 μB per cell
Fermi-level density of states = 4.255 states/eV/cell
calculated formation energy = 0.113 eV/atom
volume = 27.57 Å³ per atom

[2]
Here is crystalline MgPaNb at its relaxed geometry from Alexandria via LeMat-Bulk. Energies are from PBE-GGA.

Lattice parameters (Å, degrees): 3.512 3.512 10.473 90.00 90.00 90.00
=====
In 1982, in the absence of a body to serve as a link between the needs of the Aragonese business community and existing resources at the University of Zaragoza, the Chamber of Commerce and Industry of Zaragoza and the University of Zaragoza decided to create a non-profit organization that would act as a centre for information, advice and coordination for the University and private companies in the strategic areas of training, employment, promotion of entrepreneurship and innovation, facing challenges and opportunities, providing competitive solutions, and promoting new forms of cooperation.
Our history is one of significant milestones of achievement resulting from the ongoing exploration of the challenges and opportunities that have emerged in our strategic areas of action: Innovation, Education and Employability. Faithful to our founding spirit, we have promoted specific means of cooperation and competitive solutions providing sufficient responses to the interests of students, teachers, professionals, private companies and public institutions of Aragon, while maintaining an international dimension to our activities.
In 1990 the Commission of the European Union authorized FEUZ to create a University-Industry Training Partnership (UITP), which was one of the sections under the European Community Action Programme in Education and Training for Technology (COMETT), which would service the needs of the regions of Aragon and La Rioja.
The UITP network, trans-European in nature, greatly contributed to the promotion of the training activities of COMETT: scholarships for undergraduates and graduates, university-business exchange scholarships for teachers and employees, organisation of short training courses, financing of pilot projects for the development of advanced training material, and the undertaking of surveys and training needs studies.

When the COMETT program ended in 1994, the Aragón-Rioja UITP became a department within FEUZ, managing and coordinating various programs and Community Initiatives for Aragon and La Rioja. Since 1995 we have managed the Leonardo Da Vinci Programme, through which more than 1,300 graduates of the University of Zaragoza have taken internships in companies located in other EU countries. At present, these activities are developed under the auspices of the Erasmus+ Programme.
In the area of training, we have made available to students and graduates the necessary tools to supplement the lessons taught in the classroom and to stimulate an entrepreneurial outlook, while we were facilitating training tailored to the needs of more than 100 companies.
Our training offering, both onsite and through virtual platforms, is based on thorough research of existing end-user needs. With an innovative orientation to subject matter, and a practical methodology transferable to the job, we provide qualified professionals with extensive pragmatic experience to ensure a high level of effective training for students and professionals, adapted to the specific needs of companies and institutions.
With the creation of our own Master in International Marketing, FEUZ was one of the first organizations in Aragon to offer this type of degree. We were also one of the first Aragon Employment Institute’s (INAEM, formerly INEM) Collaborating Centres for training the unemployed.
-- Here the text breaks off for data records --
# AcErUO6 (PBE-GGA, optimized geometry)
data_AcErUO6
_cell_length_a 5.8293
_cell_length_b 5.8293
_cell_length_c 10.3143
_cell_angle_alpha 90.00
_cell_angle_beta 90.00
_cell_angle_gamma 120.00
_symmetry_space_group_name_H-M 'P 1'
_symmetry_Int_Tables_number 1
loop_
_symmetry_equiv_pos_as_xyz
'x,y,z'
loop_
_atom_site_label
_atom_site_type_symbol
_atom_site_fract_x
_atom_site_fract_y
_atom_site_fract_z
Ac1 Ac 0.0000 0.0000 0.0000
Ac2 Ac 0.0000 0.0000 0.5000
Er1 Er 0.3333 0.6667 0.2500
Er2 Er 0.6667 0.3333 0.7500
U1 U 0.3333 0.6667 0.7500
U2 U 0.6667 0.3333 0.2500
O1 O 0.0194 0.3709 0.6420
O2 O 0.0194 0.6485 0.8580
O3 O 0.3515 0.3709 0.8580
O4 O 0.3515 0.9806 0.6420
O5 O 0.3709 0.0194 0.1420
O6 O 0.3709 0.3515 0.3580
O7 O 0.6291 0.6485 0.6420
O8 O 0.6291 0.9806 0.8580
O9 O 0.6485 0.0194 0.3580
O10 O 0.6485 0.6291 0.1420
O11 O 0.9806 0.3515 0.1420
-- So much for the data records --
Since 2007 we have provided English language certification through the Cambridge English Exams, under the auspices of the prestigious University of Cambridge, occupying a leadership position in Aragon, as we are the only examination centre in the region that enjoys the Platinum distinction, pertaining only to centres of the highest excellence.
In the area of Research and Innovation, since our creation, when there were still no Offices for the Transfer of Research (OTRIs), we played an important role as catalysts for making the potential and existing resources at the University of Zaragoza available to the needs of companies and institutions, promoting the continuous transfer of technology and innovation. Throughout our existence, we have managed more than 2,000 contracts with as many public and private entities.
Since the late 1980s, with the aim of fostering communication, open discussion and the resulting synergies, we were pioneers in the use of working dinners, precursor of today’s breakfast meetings, which served as a gathering place so that professionals from different areas could interact and place topics of current interest on the table.
With the creation of the OTRIs, FEUZ became part of the OTRI network. We also acted as a Collaborating Organization (ECAP) for efforts promoted by the National Program for Development of a Joint Science-Technology-Industry System (PACTI) of the Spanish Ministry of Education. This collaboration was also carried out in conjunction with the Government of Aragon, for which we acted as a collaborating entity in the field of Water Quality.
The pioneering role of FEUZ in promoting innovation in Aragon took on a special dimension as, over those years, FEUZ granted Basilio Paradise and Pedro Cerbuna Awards to the most innovative companies in Aragon, and to the most active and relevant researchers, respectively.
In the area of employment, we have consistently facilitated the acquisition of skills and abilities, as well as the employability and professional integration of university graduates. Our continued efforts targeting the transfer of talent from the classroom into the social and economic infrastructure of our region has enabled more than 8,000 students and graduates to have an initial work experience in operating companies, while providing the productive sector with a means of collaboration and of capitalizing on these skills, which in many cases has borne fruit in the form of an employment contract.